Thriving in Arlington

Local nonprofit fights to offset funding loss from Fannie Mae. jump

The reactive approach to homelessness isn’t working. For Thrive, an Arlington-based nonprofit that provides financial assistance to local citizens in need, the aim is to end homelessness by keeping it from happening in the first place. The goal is to provide emergency funds to help a family through a crisis that might otherwise ruin their lives.

In past years, one of Thrive’s biggest contributors and partners was the Federal National Mortgage Association, or Fannie Mae. This year, however, Fannie Mae announced that it was eliminating its “Help the Homeless” program. Without this major supporter, Thrive has had to find new ways to bring the community together to keep the program alive. This year’s focus is its “2014 Challenge Campaign.”

“We have some donors who are particularly generous and they put together $100,000,” said Geraldine Shannon, executive director of Thrive. “If we can raise $100,000 [in donations], they will match.”

This has not been a problem in years past. This past year, individuals contributed $386,000, over 30 percent of Thrive’s income. However, much of this was from unexpected large scale donations that Thrive can’t expect to rely on this year.

Thrive’s biggest strength is being able to turn around same day payment to people in need. In an emergency situation, sometimes people can’t afford to wait for payments to process and work through the red tape of other organizations.

“People get a shut off notice from Dominion Power or they get an eviction notice from their landlord, we can have that payment ready,” said Shannon. “The checks are always made out to the creditor, ready on the same day.”

Shannon says Thrive is very careful with their donations and have a system in place to avoid scams and people becoming reliant on the organization.

“We do not take self-referrals,” said Shannon, “we feel that is a good way to make sure we are meeting true need.”

Thrive relies on the assessments of Arlington County social workers to determine “true need” — where someone is in a financial crisis and requires emergency assistance. Any request for assistance must come from a local social worker or case worker.

Of Thrive’s million dollar budget, $822,000 went directly into donations. While Shannon and her staff are paid, by relying on the county for the casework they have been able to limit their size to four employees, two of whom are part time. This allows 88 percent of their funding to go directly into emergency financial aid; 63 percent of Thrive’s donations, $520,000, goes into rental assistance.

The page is interrupted by calculated crystals >
1.
Density functional theory data (SCAN) for a crystal of Pb2WCl relaxed with PBEsol.

## Properties
Crystal system   orthorhombic
Relative energy among the computed polymorphs   0.000 eV per atom
Magnetic moment   2.490 μB/f.u.
Formation energy without anion corrections   898 meV/atom
VASP energy   -56.409 eV/atom

Structure (POSCAR):
```
Pb2WCl
1.0
3.1616 0.0000 0.0000
0.0000 4.8326 0.0000
0.0000 0.0000 6.3721
Pb W Cl
2 1 1
Cartesian
0.0000 0.0000 0.0000
1.5808 0.0000 3.1860
0.0000 2.4163 3.1860
1.5808 2.4163 0.0000
```

=====

2.
Density functional theory data (SCAN) for a crystal of TaNiI3 relaxed with PBEsol.

## Properties
Crystal system   cubic
Magnetic moment   1.887 μB/f.u.
Formation energy without anion corrections   1021 meV/atom
VASP energy   -37.575 eV/atom

Structure (POSCAR):
```
TaNiI3
1.0
5.4148 0.0000 0.0000
0.0000 5.4148 0.0000
0.0000 0.0000 5.4148
Ta Ni I
1 1 3
Cartesian
0.0000 0.0000 0.0000
2.7074 2.7074 2.7074
0.0000 0.0000 2.7074
0.0000 2.7074 0.0000
2.7074 0.0000 0.0000
```

=====

3.
Density functional theory data (SCAN) for a crystal of Cu2SiNi relaxed with PBEsol.

## Properties
Crystal system   cubic
Magnetic moment   0.000 μB/f.u.
Formation energy without anion corrections   -194 meV/atom
VASP energy   -14.341 eV/atom

Structure (POSCAR):
```
Cu2SiNi
1.0
0.0000 2.8070 2.8070
2.8070 0.0000 2.8070
2.8070 2.8070 0.0000
Cu Si Ni
2 1 1
Cartesian
0.0000 0.0000 0.0000
1.4035 1.4035 1.4035
2.8070 2.8070 2.8070
4.2105 4.2105 4.2105
```

=====

4.
Density functional theory data (SCAN) for a crystal of Hg2SbP relaxed with PBEsol.

## Properties
Crystal system   tetragonal
Relative energy among the computed polymorphs   0.078 eV per atom
Magnetic moment   0.000 μB/f.u.
Formation energy without anion corrections   194 meV/atom
VASP energy   -45.804 eV/atom

Structure (POSCAR):
```
Hg2SbP
1.0
4.0290 0.0000 0.0000
0.0000 4.0290 0.0000
0.0000 0.0000 5.6412
Hg Sb P
2 1 1
Cartesian
0.0000 0.0000 0.0000
2.0145 2.0145 0.0000
0.0000 0.0000 2.8206
2.0145 2.0145 2.8206
```

=====

5.
Density functional theory data (SCAN) for a crystal of NbClF2 relaxed with PBEsol.

## Properties
Crystal system   tetragonal
Relative energy among the computed polymorphs   0.000 eV per atom
Magnetic moment   2.000 μB/f.u.
Formation energy without anion corrections   -1787 meV/atom
VASP energy   -13.834 eV/atom

Structure (POSCAR):
```
NbClF2
1.0
-2.2020 2.2020 6.8723
2.2020 -2.2020 6.8723
2.2020 2.2020 -6.8723
Nb Cl F
2 2 4
Cartesian
2.2020 1.1010 1.7181
0.0000 1.1010 5.1542
2.2020 -1.1010 5.1542
0.0000 3.3030 1.7181
2.2020 0.0000 0.0000
-1.1010 1.1010 3.4361
0.0000 0.0000 6.8723
1.1010 1.1010 3.4361
```

=====

6.
Density functional theory data (SCAN) for a crystal of Na2MoH2O3F4 relaxed with PBEsol.

## Properties
Crystal system   orthorhombic
Magnetic moment   0.061 μB/f.u.
VASP energy   -9.205 eV/atom

Structure (POSCAR):
```
Na2MoH2O3F4
1.0
5.3773 0.0000 0.0000
0.0000 5.7536 0.0000
0.0000 0.0000 19.2572
Na Mo H O F
8 4 8 12 16
Cartesian

“Rent here is high, so the highest proportion of assistance we do provide is rent,” said Shannon. “Research has found that national research has found that it is less expensive to help an individual or family stay in their home than to wait until they are homeless and deal with the problems then.”

For Kurt Larrick, the communications manager for Arlington County’s Department of Human Resources, this was the biggest benefit from Thrive.

“[Thrive] is a critical part of our community safety net,” said Larrick. “The best way to prevent homelessness in our community is to prevent it from happening. They provide emergency funding that prevents individuals and families from dropping into homeless. It is so much more effective to help people if we get to them at that point.”

Shannon emphasized that for many of their programs, they will only pay a recurring bill twice a year.

“A big way to prevent homelessness is to help people stay in the homes they have, but that doesn’t mean we’re paying their rent month after month,” said Shannon. “It’s emergency assistance. We will only help a household twice a year with rent.”

The organization has had to deny applicants on similar grounds before. Shannon told the story of young man who got a new apartment and three months into his lease realized that he couldn’t continue paying rent. The social worker assisting Thrive told him that he needed to get a roommate, a better paying job, or a less expensive apartment.

“Helping him once wasn’t going to really help him because next month he’d have the same problem,” said Shannon.

The organization has been around for 39 years. Wilma LaMee has been volunteering at Thrive for many of those and says that while the technology has advanced, much of the details of their work have remained the same. She enjoys her work there, saying she wouldn’t have kept doing it if she didn’t.

“It makes me feel like I’m giving back a little in retirement,” said LaMee.